Activity:
What is needed: return every line further down that contains the word "BaCaEuWO6".

Given:
-- begin --
! MgNiF6 | Materials Project | PBE+U | relaxed; values from VASP
! Energy of formation in kJ/mol of atoms: -230.5
! Final energy in eV/atom: -4.08
! Density in g/cm³: 3.539
&SYSTEM
  ibrav = 0, nat = 8, ntyp = 3
/
ATOMIC_SPECIES
Mg 24.30 Mg.upf
Ni 58.69 Ni.upf
F 19.00 F.upf
ATOMIC_POSITIONS angstrom
Mg -1.770 -2.020 5.987
Ni 0.000 0.000 0.000
F -2.825 -3.707 6.364
F -2.939 -0.960 7.257
F -3.066 -1.587 4.491
F -0.600 -3.079 4.717
F -0.714 -0.332 5.610
F -0.473 -2.452 7.483
CELL_PARAMETERS angstrom
-3.750 -0.165 3.630
-0.732 -4.053 3.211
0.943 0.179 5.133

---

! Fe4OF6 | Materials Project | PBE+U | relaxed; values from VASP
! ΔE to the lowest computed polymorph in meV per atom: 21
! Energy of formation in kJ/mol of atoms: -223.8
! Final energy in eV/atom: -5.76
! Size of the total moment in μB per cell: 0.0
! Density in g/cm³: 4.497
&SYSTEM
  ibrav = 0, nat = 22, ntyp = 3
/
ATOMIC_SPECIES
Fe 55.84 Fe.upf
O 16.00 O.upf
F 19.00 F.upf
ATOMIC_POSITIONS angstrom
Fe -0.797 0.186 1.597
Fe 0.804 1.094 4.687
Fe 2.124 1.573 7.613
Fe 1.012 -1.575 8.953
Fe 2.681 1.131 1.694
Fe 1.568 -2.014 3.029
Fe 2.889 -1.537 5.960
Fe 4.489 -0.627 9.045
O 3.295 -2.319 4.102
O 0.394 1.878 6.544
F 2.473 2.207 3.661
F 1.118 0.179 2.787
F 1.220 -2.649 6.982
F 2.575 -0.622 7.859
F 6.416 -1.191 4.328
F 4.446 0.641 3.130
F 2.889 0.606 5.625
F 4.855 -1.224 6.826
F -1.164 0.786 3.821
F 0.803 -1.049 5.018
F -2.723 0.749 6.316
F -0.759 -1.085 7.515
CELL_PARAMETERS angstrom
2.712 4.055 1.750
-3.767 -0.079 6.013
4.746 -4.418 2.881

---

! BaYCo4O7 | Materials Project | PBE+U | relaxed; values from VASP
! ΔE to the lowest computed polymorph in meV per atom: 14
! Energy of formation in kJ/mol of atoms: -197.8
! Final energy in eV/atom: -6.67
! Size of the total moment in μB per cell: 26.0
! Density in g/cm³: 5.156
&SYSTEM
  ibrav = 0, nat = 26, ntyp = 4
/
ATOMIC_SPECIES
Ba 137.33 Ba.upf
Y 88.91 Y.upf
Co 58.93 Co.upf
O 16.00 O.upf
ATOMIC_POSITIONS angstrom
Ba 3.200 -1.848 5.039
Ba 3.200 1.848 10.249
Y 3.200 -1.848 9.168
Y 3.200 1.848 3.957
Co 0.000 0.000 9.863
Co 1.624 -0.938 1.985
Co 4.776 0.938 7.195
Co 4.776 -0.938 1.985
Co 1.624 0.938 7.195
Co 0.000 0.000 4.652
Co 3.200 -3.668 1.985
Co 3.200 3.668 7.195
O 3.200 -0.094 2.730
O 1.682 -2.724 2.730
O 4.795 -0.927 0.066
O 3.200 3.690 5.276
O 0.000 0.000 7.794
O 4.718 -2.724 2.730
O 0.000 0.000 2.584
O 3.200 0.094 7.941
O 3.200 -3.690 0.066
O 1.605 -0.927 0.066
O 4.718 2.724 7.941
O 1.605 0.927 5.276
O 4.795 0.927 5.276
O 1.682 2.724 7.941
CELL_PARAMETERS angstrom
3.200 -5.543 0.000
3.200 5.543 0.000
0.000 0.000 10.421

---

! BaCaEuWO6 | Materials Project | PBE+U | relaxed; values from VASP
! ΔE to the lowest computed polymorph in meV per atom: 84
! Energy of formation in kJ/mol of atoms: -282.2
! Final energy in eV/atom: -7.75
! Size of the total moment in μB per cell: 14.0
! Density in g/cm³: 6.625
&SYSTEM
  ibrav = 0, nat = 20, ntyp = 5
/
ATOMIC_SPECIES
Ba 137.33 Ba.upf
Ca 40.08 Ca.upf
Eu 151.96 Eu.upf
W 183.84 W.upf
O 16.00 O.upf
ATOMIC_POSITIONS angstrom
Ba 0.000 2.963 2.174
Ba 2.963 0.000 6.522
Ca 2.963 0.000 2.174
Ca 0.000 2.963 6.522
Eu 0.000 0.000 0.000
Eu 2.963 2.963 4.348
W 0.000 0.000 4.348
W 2.963 2.963 0.000
O 0.000 0.000 2.360
O 2.963 2.963 1.988
O 0.000 0.000 6.337
O 2.963 2.963 6.708
O 2.077 1.214 0.191
O 3.850 4.712 0.191
O 4.712 2.077 8.505
O 1.214 3.850 8.505
O 5.040 1.749 4.539
O 0.887 4.177 4.539
O 1.749 0.887 4.157
O 4.177 5.040 4.157
CELL_PARAMETERS angstrom
5.926 0.000 0.000
0.000 5.926 0.000
0.000 0.000 8.696

---

! Li2V2SiGeO10 | Materials Project | PBE+U | relaxed; values from VASP
! ΔE to the lowest computed polymorph in meV per atom: 14
! Energy of formation in kJ/mol of atoms: -237.3
! Final energy in eV/atom: -6.91
! Size of the total moment in μB per cell: 0.0
! Density in g/cm³: 3.237
&SYSTEM
  ibrav = 0, nat = 32, ntyp = 5
/
ATOMIC_SPECIES
Li 6.94 Li.upf
V 50.94 V.upf
Si 28.09 Si.upf
Ge 72.64 Ge.upf
O 16.00 O.upf
ATOMIC_POSITIONS angstrom
Li 0.000 6.774 2.352
Li 0.000 2.258 2.352
-- stop --

Solution:
! BaCaEuWO6 | Materials Project | PBE+U | relaxed; values from VASP